Source:
=====
*w*
MgBe2Co4O8: relaxed, PBE+U.

The structure in POSCAR format:
```
MgBe2Co4O8
1.0
4.723 -0.352 3.104
-4.477 3.526 2.047
-2.976 -1.884 4.314
Mg Be Co O
1 2 4 8
Cartesian
-3.253 0.014 4.952 Mg
0.297 2.825 5.033 Be
-1.847 1.515 2.982 Be
1.488 0.470 2.953 Co
-0.062 -0.512 5.201 Co
-2.275 1.916 6.457 Co
-4.815 2.106 4.788 Co
1.916 0.159 4.986 O
0.491 -1.448 6.896 O
-0.391 1.643 5.947 O
-0.570 0.345 3.352 O
-2.751 1.816 4.392 O
-1.926 -1.267 5.307 O
-1.791 0.757 7.975 O
-4.152 0.929 6.423 O
```

***

*x*
MgBe2Co4O8: relaxed, PBE+U.

The structure in POSCAR format:
```
MgBe2Co4O8
1.0
-4.211 4.211 0.000
4.211 0.000 4.211
4.211 4.211 0.000
Mg Be Co O
1 2 4 8
Cartesian
2.106 6.317 2.106 Mg
0.000 0.000 0.000 Be
2.106 2.106 2.106 Be
-0.855 3.356 0.855 Co
0.855 5.066 0.855 Co
3.356 5.066 3.356 Co
5.066 3.356 3.356 Co
-1.095 5.306 1.095 O
1.019 7.403 1.019 O
1.019 5.230 3.192 O
1.095 3.116 1.095 O
3.116 3.116 3.116 O
3.192 5.230 1.019 O
3.192 7.403 3.192 O
5.306 5.306 3.116 O
```

***

*y*
MgBe2Co4O8: relaxed, PBE+U.

The structure in POSCAR format:
```
MgBe2Co4O8
1.0
4.260 -3.123 -2.175
0.346 1.971 5.350
-0.487 -3.778 4.472
Mg Be Co O
1 2 4 8
Cartesian
0.315 -2.259 3.861 Mg
4.437 -1.472 3.304 Be
1.285 -0.420 3.121 Be
2.688 -1.931 0.537 Co
2.445 -3.820 2.774 Co
2.618 -2.835 5.449 Co
0.488 -1.274 6.536 Co
3.745 -3.616 1.090 O
3.381 -5.663 3.316 O
3.754 -2.767 3.825 O
1.509 -1.977 2.231 O
1.673 -1.041 4.773 O
1.145 -4.024 4.457 O
3.562 -4.629 6.124 O
1.482 -2.903 7.072 O
```

***

Which one sits at the bottom of the stability order? *x* does.

=====

Entry from the Materials Project: an optimized crystal structure of Na2CuH6C2O9 (GGA-PBE).

a b c (Å): 9.871 6.171 16.644
angles (deg): 90.00 124.04 90.00
Fractional coordinates of all 80 atoms:
Na (0.037, 0.239, 0.198)
Na (0.037, 0.261, 0.698)
Na (0.297, 0.019, 0.902)
Na (0.297, 0.481, 0.402)
Na (0.703, 0.519, 0.598)
Na (0.703, 0.981, 0.098)
Na (0.963, 0.739, 0.302)
Na (0.963, 0.761, 0.802)
Cu (0.302, 0.508, 0.179)
Cu (0.302, 0.992, 0.679)
Cu (0.698, 0.008, 0.321)
Cu (0.698, 0.492, 0.821)
H (0.021, 0.241, 0.012)
H (0.021, 0.259, 0.512)
H (0.141, 0.072, 0.090)
H (0.141, 0.428, 0.590)
H (0.280, 0.547, 0.891)
H (0.280, 0.953, 0.391)
H (0.295, 0.607, 0.988)
H (0.295, 0.893, 0.488)
H (0.428, 0.024, 0.114)
H (0.428, 0.476, 0.614)
H (0.445, 0.241, 0.588)
H (0.445, 0.259, 0.088)
H (0.555, 0.741, 0.912)
H (0.555, 0.759, 0.412)
H (0.572, 0.524, 0.386)
H (0.572, 0.976, 0.886)
H (0.705, 0.107, 0.512)
H (0.705, 0.393, 0.012)
H (0.720, 0.047, 0.609)
H (0.720, 0.453, 0.109)
H (0.859, 0.572, 0.410)
H (0.859, 0.928, 0.910)
H (0.979, 0.741, 0.488)
H (0.979, 0.759, 0.988)
C (0.093, 0.741, 0.170)
C (0.093, 0.759, 0.670)
C (0.443, 0.154, 0.327)
C (0.443, 0.346, 0.827)
C (0.557, 0.654, 0.173)
C (0.557, 0.846, 0.673)
C (0.907, 0.241, 0.330)
C (0.907, 0.259, 0.830)
O (0.012, 0.141, 0.830)
O (0.012, 0.359, 0.330)
O (0.110, 0.226, 0.082)
O (0.110, 0.274, 0.582)
O (0.141, 0.734, 0.611)
O (0.141, 0.766, 0.111)
O (0.168, 0.581, 0.232)
O (0.168, 0.919, 0.732)
O (0.241, 0.652, 0.920)
O (0.241, 0.848, 0.420)
O (0.321, 0.150, 0.333)
O (0.321, 0.350, 0.833)
O (0.431, 0.522, 0.120)
O (0.431, 0.978, 0.620)
O (0.441, 0.105, 0.068)
O (0.441, 0.395, 0.568)
O (0.457, 0.214, 0.770)
O (0.457, 0.286, 0.270)
O (0.543, 0.714, 0.730)
O (0.543, 0.786, 0.230)
O (0.559, 0.605, 0.432)
O (0.559, 0.895, 0.932)
O (0.569, 0.022, 0.380)
O (0.569, 0.478, 0.880)
O (0.679, 0.650, 0.167)
O (0.679, 0.850, 0.667)
O (0.759, 0.152, 0.580)
O (0.759, 0.348, 0.080)
O (0.832, 0.081, 0.268)
O (0.832, 0.419, 0.768)
O (0.859, 0.234, 0.889)
O (0.859, 0.266, 0.389)
O (0.890, 0.726, 0.418)
O (0.890, 0.774, 0.918)
O (0.988, 0.641, 0.670)
O (0.988, 0.859, 0.170)

## Properties
**Symmetry**: P2_1/c, No. 14

***

Entry from the Materials Project: an optimized crystal structure of NaCuPH8C2SO8 (GGA-PBE).

a b c (Å): 14.963 7.873 7.704
angles (deg): 90.00 91.55 90.00
Fractional coordinates of all 88 atoms:
Na (0.034, 0.190, 0.436)
Na (0.034, 0.310, 0.936)
=====
To do:
Now duplicate the notes earlier on word for word.
Outcome:
*w*
MgBe2Co4O8: relaxed, PBE+U.

The structure in POSCAR format:
```
MgBe2Co4O8
1.0
4.723 -0.352 3.104
-4.477 3.526 2.047
-2.976 -1.884 4.314
Mg Be Co O
1 2 4 8
Cartesian
-3.253 0.014 4.952 Mg
0.297 2.825 5.033 Be
-1.847 1.515 2.982 Be
1.488 0.470 2.953 Co
-0.062 -0.512 5.201 Co
-2.275 1.916 6.457 Co
-4.815 2.106 4.788 Co
1.916 0.159 4.986 O
0.491 -1.448 6.896 O
-0.391 1.643 5.947 O
-0.570 0.345 3.352 O
-2.751 1.816 4.392 O
-1.926 -1.267 5.307 O
-1.791 0.757 7.975 O
-4.152 0.929 6.423 O
```

***

*x*
MgBe2Co4O8: relaxed, PBE+U.

The structure in POSCAR format:
```
MgBe2Co4O8
1.0
-4.211 4.211 0.000
4.211 0.000 4.211
4.211 4.211 0.000
Mg Be Co O
1 2 4 8
Cartesian
2.106 6.317 2.106 Mg
0.000 0.000 0.000 Be
2.106 2.106 2.106 Be
-0.855 3.356 0.855 Co
0.855 5.066 0.855 Co
3.356 5.066 3.356 Co
5.066 3.356 3.356 Co
-1.095 5.306 1.095 O
1.019 7.403 1.019 O
1.019 5.230 3.192 O
1.095 3.116 1.095 O
3.116 3.116 3.116 O
3.192 5.230 1.019 O
3.192 7.403 3.192 O
5.306 5.306 3.116 O
```

***

*y*
MgBe2Co4O8: relaxed, PBE+U.

The structure in POSCAR format:
```
MgBe2Co4O8
1.0
4.260 -3.123 -2.175
0.346 1.971 5.350
-0.487 -3.778 4.472
Mg Be Co O
1 2 4 8
Cartesian
0.315 -2.259 3.861 Mg
4.437 -1.472 3.304 Be
1.285 -0.420 3.121 Be
2.688 -1.931 0.537 Co
2.445 -3.820 2.774 Co
2.618 -2.835 5.449 Co
0.488 -1.274 6.536 Co
3.745 -3.616 1.090 O
3.381 -5.663 3.316 O
3.754 -2.767 3.825 O
1.509 -1.977 2.231 O
1.673 -1.041 4.773 O
1.145 -4.024 4.457 O
3.562 -4.629 6.124 O
1.482 -2.903 7.072 O
```

***

Which one sits at the bottom of the stability order? *x* does.

=====

Entry from the Materials Project: an optimized crystal structure of Na2CuH6C2O9 (GGA-PBE).

a b c (Å): 9.871 6.171 16.644
angles (deg): 90.00 124.04 90.00
Fractional coordinates of all 80 atoms:
Na (0.037, 0.239, 0.198)
Na (0.037, 0.261, 0.698)
Na (0.297, 0.019, 0.902)
Na (0.297, 0.481, 0.402)
Na (0.703, 0.519, 0.598)
Na (0.703, 0.981, 0.098)
Na (0.963, 0.739, 0.302)
Na (0.963, 0.761, 0.802)
Cu (0.302, 0.508, 0.179)
Cu (0.302, 0.992, 0.679)
Cu (0.698, 0.008, 0.321)
Cu (0.698, 0.492, 0.821)
H (0.021, 0.241, 0.012)
H (0.021, 0.259, 0.512)
H (0.141, 0.072, 0.090)
H (0.141, 0.428, 0.590)
H (0.280, 0.547, 0.891)
H (0.280, 0.953, 0.391)
H (0.295, 0.607, 0.988)
H (0.295, 0.893, 0.488)
H (0.428, 0.024, 0.114)
H (0.428, 0.476, 0.614)
H (0.445, 0.241, 0.588)
H (0.445, 0.259, 0.088)
H (0.555, 0.741, 0.912)
H (0.555, 0.759, 0.412)
H (0.572, 0.524, 0.386)
H (0.572, 0.976, 0.886)
H (0.705, 0.107, 0.512)
H (0.705, 0.393, 0.012)
H (0.720, 0.047, 0.609)
H (0.720, 0.453, 0.109)
H (0.859, 0.572, 0.410)
H (0.859, 0.928, 0.910)
H (0.979, 0.741, 0.488)
H (0.979, 0.759, 0.988)
C (0.093, 0.741, 0.170)
C (0.093, 0.759, 0.670)
C (0.443, 0.154, 0.327)
C (0.443, 0.346, 0.827)
C (0.557, 0.654, 0.173)
C (0.557, 0.846, 0.673)
C (0.907, 0.241, 0.330)
C (0.907, 0.259, 0.830)
O (0.012, 0.141, 0.830)
O (0.012, 0.359, 0.330)
O (0.110, 0.226, 0.082)
O (0.110, 0.274, 0.582)
O (0.141, 0.734, 0.611)
O (0.141, 0.766, 0.111)
O (0.168, 0.581, 0.232)
O (0.168, 0.919, 0.732)
O (0.241, 0.652, 0.920)
O (0.241, 0.848, 0.420)
O (0.321, 0.150, 0.333)
O (0.321, 0.350, 0.833)
O (0.431, 0.522, 0.120)
O (0.431, 0.978, 0.620)
O (0.441, 0.105, 0.068)
O (0.441, 0.395, 0.568)
O (0.457, 0.214, 0.770)
O (0.457, 0.286, 0.270)
O (0.543, 0.714, 0.730)
O (0.543, 0.786, 0.230)
O (0.559, 0.605, 0.432)
O (0.559, 0.895, 0.932)
O (0.569, 0.022, 0.380)
O (0.569, 0.478, 0.880)
O (0.679, 0.650, 0.167)
O (0.679, 0.850, 0.667)
O (0.759, 0.152, 0.580)
O (0.759, 0.348, 0.080)
O (0.832, 0.081, 0.268)
O (0.832, 0.419, 0.768)
O (0.859, 0.234, 0.889)
O (0.859, 0.266, 0.389)
O (0.890, 0.726, 0.418)
O (0.890, 0.774, 0.918)
O (0.988, 0.641, 0.670)
O (0.988, 0.859, 0.170)

## Properties
**Symmetry**: P2_1/c, No. 14

***

Entry from the Materials Project: an optimized crystal structure of NaCuPH8C2SO8 (GGA-PBE).

a b c (Å): 14.963 7.873 7.704
angles (deg): 90.00 91.55 90.00
Fractional coordinates of all 88 atoms:
Na (0.034, 0.190, 0.436)
Na (0.034, 0.310, 0.936)